[Request]
Now set down the lines further below up to the one that holds "-0.7240", that line included.
[Material]
/*
Model i:
Below is one molecule with the formula C2H5O2P, with properties calculated with the ωB97M-V functional and the def2-TZVPD basis.

SMILES ... COPC=O

Atoms and positions in Å:
C 0.7469 -0.7006 -0.4727
O -0.3839 -0.0807 -0.0355
P -0.4293 1.5868 0.1582
C -2.2063 1.6050 0.8178
O -2.7118 2.6525 1.0413
H 0.6797 -1.7945 -0.1527
H 1.6730 -0.3471 -0.0176
H 0.9828 -0.6017 -1.6618
H 0.1809 1.5073 1.4957
H -2.8986 0.6987 0.8330

***

Model ii:
Below is C2H5O2P as an isolated structure, with properties calculated with the ωB97M-V functional and the def2-TZVPD basis.

Atoms and positions in Å:
C -0.1420 -0.0273 0.9940
C -0.1517 -0.3381 -0.4791
O -1.6226 2.0443 -1.5594
O -0.5241 1.3353 1.0479
P -0.5239 1.4356 -0.8944
H -0.8560 -0.4513 1.6093
H 0.7994 0.0571 1.5614
H 0.7231 -0.6172 -0.8609
H -0.9946 -1.0817 -0.8935
H 0.7696 2.0481 -1.2633

***

model ii is favored, and the nearest alternative lies 0.0153 hartree above it.

***

Model i:
Below is C4H10NO3 as an isolated structure, with properties calculated with the ωB97M-V functional and the def2-TZVPD basis.

Net charge ... -1

Atoms and positions in Å:
C -1.1571 0.0254 -0.4083
C -1.2728 1.2206 0.5519
N 0.0247 1.6720 1.3727
C -0.0680 0.6315 2.0982
C 1.0509 -2.2884 -1.6010
O 2.0566 -1.5622 -1.7605
O 0.6076 -3.2150 -2.3001
H -1.0999 -0.9224 0.1211
H -2.0194 0.0283 -1.0726
H -0.2416 0.1116 -0.9908
H -2.1530 1.1359 1.1933
H -1.4289 2.0883 -0.0886
H -0.3645 0.6938 3.1708
H 0.4155 -0.3359 1.8607
H 0.5223 -2.1996 -0.6049
H 1.2802 1.3604 0.0344
H 1.9702 0.2952 -0.8425
O 1.8772 1.2607 -0.7338

***

Model ii:
Below is a 2-piece molecular cluster, C4H10NO3 overall, with properties calculated with the ωB97M-V functional and the def2-TZVPD basis.

Net charge ... -1

Atoms and positions in Å:
C 2.0167 0.8571 0.0135
C 1.5480 -0.0205 -1.1419
N 0.4214 -0.7871 -0.9118
C 0.0804 -1.0827 0.5246
C -0.6850 0.2493 1.5433
O -1.4316 -0.4219 2.3964
O 2.0861 -0.0548 -2.2378
H 2.2392 0.1512 0.8458
H 1.2435 1.5399 0.3079
H 2.9203 1.3398 -0.3692
H 0.0662 -1.3969 -1.6190
H -0.8312 -1.7586 0.5823
H 0.7622 -1.8063 0.8481
H 0.3105 0.4131 1.9969
H -1.3219 0.8938 0.9604
H -3.0416 1.5030 0.2815
H -2.5319 0.4141 -0.7110
O -3.2845 0.9629 -0.4701

***

Model iii:
Below is a 2-piece molecular cluster, C4H10NO3 overall, with properties calculated with the ωB97M-V functional and the def2-TZVPD basis.

Net charge ... -1

Atoms and positions in Å:
C -0.4576 0.5626 -0.2149
C 0.8302 1.3078 -0.0389
C 1.4753 1.7169 -1.2848
O 2.6218 2.0913 -1.4750
N -0.2361 -0.8577 0.0386
C -1.2898 -1.8431 -0.4694
O -0.8594 -2.7077 -1.3034
H -0.8923 0.6961 -1.1892
H -1.2981 0.9835 0.3738
H 1.4931 0.5143 0.4510
H 0.6714 2.0833 0.7206
H 0.8699 2.0721 -2.1920
H 0.6065 -1.0213 -0.4190
H -1.5708 -2.2799 0.5589
H -2.3571 -1.2280 -0.8042
H -0.4068 -0.1730 2.3579
H 0.3438 -1.3957 2.1415
O 0.4559 -0.5216 2.7487

***

model ii is favored, and the nearest alternative lies 0.0213 hartree above it.

***

Model i:
Below is one molecule with the formula C8H9BrN2O2, with properties calculated with the ωB97M-V functional and the def2-TZVPD basis.

SMILES ... CO[C@H](Br)NC(=O)c1ccccn1

Atoms and positions in Å:
C 2.3626 -2.3410 -0.0866
O 3.1456 -1.2519 0.3220
C 2.7778 -0.1125 -0.3457
Br 4.1660 1.2653 0.1209
N 1.5288 0.4608 0.0357
C 0.4956 0.4382 -0.8116
O 0.5652 0.0352 -1.9475
C -0.7548 1.0729 -0.2578
C -1.8422 1.0785 -1.1715
C -3.0551 1.6125 -0.7240
*/
[Worked solution]
Model i:
Below is one molecule with the formula C2H5O2P, with properties calculated with the ωB97M-V functional and the def2-TZVPD basis.

SMILES ... COPC=O

Atoms and positions in Å:
C 0.7469 -0.7006 -0.4727
O -0.3839 -0.0807 -0.0355
P -0.4293 1.5868 0.1582
C -2.2063 1.6050 0.8178
O -2.7118 2.6525 1.0413
H 0.6797 -1.7945 -0.1527
H 1.6730 -0.3471 -0.0176
H 0.9828 -0.6017 -1.6618
H 0.1809 1.5073 1.4957
H -2.8986 0.6987 0.8330

***

Model ii:
Below is C2H5O2P as an isolated structure, with properties calculated with the ωB97M-V functional and the def2-TZVPD basis.

Atoms and positions in Å:
C -0.1420 -0.0273 0.9940
C -0.1517 -0.3381 -0.4791
O -1.6226 2.0443 -1.5594
O -0.5241 1.3353 1.0479
P -0.5239 1.4356 -0.8944
H -0.8560 -0.4513 1.6093
H 0.7994 0.0571 1.5614
H 0.7231 -0.6172 -0.8609
H -0.9946 -1.0817 -0.8935
H 0.7696 2.0481 -1.2633

***

model ii is favored, and the nearest alternative lies 0.0153 hartree above it.

***

Model i:
Below is C4H10NO3 as an isolated structure, with properties calculated with the ωB97M-V functional and the def2-TZVPD basis.

Net charge ... -1

Atoms and positions in Å:
C -1.1571 0.0254 -0.4083
C -1.2728 1.2206 0.5519
N 0.0247 1.6720 1.3727
C -0.0680 0.6315 2.0982
C 1.0509 -2.2884 -1.6010
O 2.0566 -1.5622 -1.7605
O 0.6076 -3.2150 -2.3001
H -1.0999 -0.9224 0.1211
H -2.0194 0.0283 -1.0726
H -0.2416 0.1116 -0.9908
H -2.1530 1.1359 1.1933
H -1.4289 2.0883 -0.0886
H -0.3645 0.6938 3.1708
H 0.4155 -0.3359 1.8607
H 0.5223 -2.1996 -0.6049
H 1.2802 1.3604 0.0344
H 1.9702 0.2952 -0.8425
O 1.8772 1.2607 -0.7338

***

Model ii:
Below is a 2-piece molecular cluster, C4H10NO3 overall, with properties calculated with the ωB97M-V functional and the def2-TZVPD basis.

Net charge ... -1

Atoms and positions in Å:
C 2.0167 0.8571 0.0135
C 1.5480 -0.0205 -1.1419
N 0.4214 -0.7871 -0.9118
C 0.0804 -1.0827 0.5246
C -0.6850 0.2493 1.5433
O -1.4316 -0.4219 2.3964
O 2.0861 -0.0548 -2.2378
H 2.2392 0.1512 0.8458
H 1.2435 1.5399 0.3079
H 2.9203 1.3398 -0.3692
H 0.0662 -1.3969 -1.6190
H -0.8312 -1.7586 0.5823
H 0.7622 -1.8063 0.8481
H 0.3105 0.4131 1.9969
H -1.3219 0.8938 0.9604
H -3.0416 1.5030 0.2815
H -2.5319 0.4141 -0.7110
O -3.2845 0.9629 -0.4701

***

Model iii:
Below is a 2-piece molecular cluster, C4H10NO3 overall, with properties calculated with the ωB97M-V functional and the def2-TZVPD basis.

Net charge ... -1

Atoms and positions in Å:
C -0.4576 0.5626 -0.2149
C 0.8302 1.3078 -0.0389
C 1.4753 1.7169 -1.2848
O 2.6218 2.0913 -1.4750
N -0.2361 -0.8577 0.0386
C -1.2898 -1.8431 -0.4694
O -0.8594 -2.7077 -1.3034
H -0.8923 0.6961 -1.1892
H -1.2981 0.9835 0.3738
H 1.4931 0.5143 0.4510
H 0.6714 2.0833 0.7206
H 0.8699 2.0721 -2.1920
H 0.6065 -1.0213 -0.4190
H -1.5708 -2.2799 0.5589
H -2.3571 -1.2280 -0.8042
H -0.4068 -0.1730 2.3579
H 0.3438 -1.3957 2.1415
O 0.4559 -0.5216 2.7487

***

model ii is favored, and the nearest alternative lies 0.0213 hartree above it.

***

Model i:
Below is one molecule with the formula C8H9BrN2O2, with properties calculated with the ωB97M-V functional and the def2-TZVPD basis.

SMILES ... CO[C@H](Br)NC(=O)c1ccccn1

Atoms and positions in Å:
C 2.3626 -2.3410 -0.0866
O 3.1456 -1.2519 0.3220
C 2.7778 -0.1125 -0.3457
Br 4.1660 1.2653 0.1209
N 1.5288 0.4608 0.0357
C 0.4956 0.4382 -0.8116
O 0.5652 0.0352 -1.9475
C -0.7548 1.0729 -0.2578
C -1.8422 1.0785 -1.1715
C -3.0551 1.6125 -0.7240